That's an excellently composed and written piece. I'm very interested in what you are talking about, because I have always said that, "I am never ill", and I know that this has a bearing on my health. Placebo is a recognised medicine, because it works and that fact alone should lead to much more investigation and learning with regards to the mental faculties.
I have been dealing with health from a food and liquid intake perspective and have learned much about the body and how it works, but there appears to be an ongoing battle with mainstream medicine and treatment. life is a learning curve, it's steepness (should be stepth) is denoted by your perspective.
Thank you for posting, @conciousness.
That's great @gwb235! Disease doesn't exist dis ease does! If we understand why we are in dis ease we understand why we are sick! Happy to share my insights with you.
Wow, you've quoted me :). Indeed, we are almost told to be ill, sometimes, as people misinterpret the message and to be fair, the truth is hidden beneath a pile of agendas. I honestly feel that some people have an attachment and want to keep their dis-eases - their dis-comfort with life. It is theirs, and besides, they've never been so popular. I apologise for the crassness, but I am sure that you know that these people exist.
But, it is not a fair playing field. The deck's stacked and the dealers are crooked. A doctor will tell you that you have arthritis, when he means joint pain, as arthritis is Latin for joint pain. There is a different impact between telling someone that they have joint pain and telling them that they have arthritis.
I have an issue with centralisation and divison and when we remove the centralisation from medicine and treatment, then we will dissolve the division and rather than curing folk, we will all be keeping each other healthy, positive, energised and creative and happy. No, we will not each have an office :).
Look forward to more of your insights and thank you for responding to my comment.
Great I see you got already good insights! That's good to read as there are not many even though many start to understand something is wrong with the current system! Yes Arthritis and joint pain because of inflammation same with Polyps! If they are small its Polyps if they grow bigger its bowl cancer. Thank you for sharing your insights too!
Indeed, the language of medicine smelts of Legalese and the extremely dubious applications of such, causing confusion, not clarity. Ask anybody who has a condition or has been told that there is something wrong and they cannot explain it, because they think that is for the doctors and such to know, and it is their job to explain issues to people, but if this is the case, why are so many people misinformed or completely unaware?
Due to the present climate of our culture (I mean Western, Centralised, mainstream medcine), folk expect a doctor to prescribe a tablet and their chemist to supply it and for that tablet to work miracles. They expect doctors to cure them and if they can't, to refer them to someone who can, normally with gas and knives. What they do not realise is that doctors are there to 'treat' patients. Similar to dogs, really and I do not apologise for my crassness, in this case, if it has the chance to share transparent and honest realisations :).
I suspect that placebo does more for folk than the tablets that they take. In other words, the belief that they have in the tablets doing their job, has more effectiveness on their dis-ease than the contents of the tablet do. For one, the contents could contain such components as fluoride, which is not natural fluoride, but haxafluorosilicic acid, which is not a good ingredient, but they add it to water supplies here and there, so hey, must be just fine and dandy.
I digress slightly, but with regards to cancer, as you mentioned bowel cancer, in relation to polyps, and I understand what you are saying. I am a progressive researcher and somewhat eclectic, but not too holistic, as in, being able to see the whole picture, all of the time, but I can see the bigger picture and am always prepared to stand and be corrected. It's how we learn, but I research as well as I can, to avoid such pitfalls, as they can hinder progress unintentionally.
So, to polyps and cancer, or cancer, as you have covered the relevant polyp point, but I see cancer as a cancer in and of itself. The word, I mean. When a doctor says to a patient that they have cancer, what must the patient feel? The finality of it all (even if it is treatable) and the end of time approaching. The poreparation. Making sure those I leave behind will be okay.........
### Next to the article, the page also holds data records
+++
Entry 1:
Entry from the OMol25 dataset: a structure of composition C31H20F3N4OPPdS (ωB97M-V with the def2-TZVPD basis set).

## Properties
⟨S²⟩: 0.761
net charge: +1
2S+1: 2

Positions of all 62 atoms, in Å:
Pd1 -0.062 -0.878 0.332
O1 1.893 0.928 1.690
N1 0.594 1.025 1.217
C1 0.350 2.152 0.682
C2 -0.979 2.581 0.222
C3 -1.091 3.963 0.057
C4 -2.307 4.562 -0.231
C5 -3.441 3.778 -0.344
C6 -3.343 2.402 -0.195
C7 -2.125 1.781 0.062
P1 -2.211 -0.034 0.206
C8 -3.333 -0.349 1.571
C9 -2.875 -0.028 2.851
C10 -3.693 -0.239 3.945
C11 -4.963 -0.777 3.769
C12 -5.418 -1.096 2.499
C13 -4.607 -0.880 1.394
C14 -2.916 -0.644 -1.334
C15 -3.031 0.146 -2.476
C16 -3.519 -0.408 -3.651
C17 -3.891 -1.743 -3.692
C18 -3.768 -2.538 -2.558
C19 -3.271 -1.997 -1.385
H1 1.859 0.171 2.296
H2 1.143 2.896 0.670
H3 -0.210 4.581 0.178
H4 -2.365 5.635 -0.350
H5 -4.403 4.229 -0.549
H6 -4.240 1.800 -0.285
H7 -1.874 0.363 2.992
H8 -3.338 0.002 4.938
H9 -5.595 -0.955 4.629
H10 -6.402 -1.525 2.364
H11 -4.969 -1.141 0.408
H12 -2.740 1.188 -2.461
H13 -3.609 0.209 -4.535
H14 -4.279 -2.167 -4.609
H15 -4.061 -3.579 -2.578
H16 -3.192 -2.637 -0.512
N2 -3.385 -4.587 0.846
C20 -2.729 -4.074 1.651
N3 -2.019 -3.475 2.578
C21 -1.108 -2.640 2.374
N4 -0.212 -1.866 2.276
S1 0.400 -2.609 -1.065
C22 1.615 -1.650 -0.755
F1 10.271 -0.039 -1.722
C23 9.479 0.775 -1.019
F2 9.983 0.872 0.219
F3 9.547 1.994 -1.575
C24 8.051 0.287 -0.981
C25 7.651 -0.783 -1.766
C26 6.331 -1.196 -1.728
C27 5.426 -0.529 -0.895
C28 5.840 0.550 -0.102
C29 7.156 0.957 -0.151
C30 4.077 -0.954 -0.854
C31 2.921 -1.325 -0.818
H17 8.364 -1.290 -2.399
H18 5.997 -2.027 -2.333
H19 5.129 1.047 0.544
H20 7.497 1.785 0.455

Löwdin population analysis, charges in e, atoms 1 to 8:
1. Pd 0.56
2. O -0.03
3. N -0.11
4. C -0.06
5. C -0.19
6. C -0.02
7. C -0.04
8. C -0.04

---

Entry 2:
Entry from the OMol25 dataset: the molecule C4H7N3O2 (ωB97M-V with the def2-TZVPD basis set).

## Properties
net charge: 0
2S+1: 1

Positions of all 16 atoms, in Å:
O1 0.028 2.681 -1.117
C1 0.245 1.984 -0.157
N1 -0.467 0.883 0.262
C2 -1.191 0.085 -0.721
C3 -0.166 -0.742 -1.485
N2 0.407 -1.560 -0.414
C4 0.405 -1.205 0.889
O2 0.753 -2.062 1.729
N3 0.089 0.105 1.257
H1 1.169 2.165 0.449
H2 -1.675 0.722 -1.440
H3 -1.992 -0.557 -0.215
H4 0.612 -0.150 -2.023
H5 -0.638 -1.440 -2.241
H6 0.628 -2.551 -0.524
H7 -0.317 0.140 2.214

Löwdin population analysis, charges in e, atoms 1 to 8:
1. O 0.05
2. C -0.31
3. N -0.11
4. C -0.13
5. C -0.14
6. N 0.07
7. C -0.54
8. O 0.01

---

Entry 3:
Entry from the OMol25 dataset: the molecule Cl2HOP (ωB97M-V with the def2-TZVPD basis set).

## Properties
net charge: 0
2S+1: 1

Positions of all 5 atoms, in Å:
O1 0.455 0.384 0.083
P1 1.732 0.078 -0.737
Cl1 1.854 -2.113 0.077
Cl2 3.219 1.037 0.325
H1 0.287 1.026 0.740

From a Löwdin analysis of the wavefunction, the atomic charges in e read:
1. O -0.42
2. P 0.30
3. Cl -0.07
4. Cl 0.14
5. H 0.05

---

Entry 4:
Entry from the OMol25 dataset: the molecule C6H8O3 (ωB97M-V with the def2-TZVPD basis set).
+++
Fear is instilled, when somebody is told that they have 'The Big C'. I wonder if it is wise to give such credence, power and influence to the condition. Would it not be better to try to heal folk from the start, rather than to give the dis-ease time to become a belief, with a head start, so to speak. Instill positivity and healing with words that heal, not words that confirm a negative possibility.
To me it is a very simple thing to work out. If I have cancer, then the medi-doctors will offer me chemo or radio-therapies, or both. If this is the case, and it is (before they say those fateful words to you, "I'm sorry, but there's nothing more that we can do for you"), then I want no part of it and why should I wait for that day to admit that I am being treated by fools, liars or plain evil dudes?
We all have to make conscious decisions if we want to become fully conscious people. Sounds easy and strsight forward, but, and I have said it before, the deck is stacked.
Even I feel that I have gone on a little too much here :). Apologies for the tome and thenk you for the comment. I'm sure that I can learn a lot from your future posts and I look forward to them.
Thank you for sharing your thoughts! You are in a position slowly more and more people getting there! This is great! And yes I hope, I can put even a bit more light on the picture!
I agree that slowly, but surely, people are getting there. You're in the right place to shed light on matters :).